Who said: "... And that's the way it is"?
Correct answer: Walter Cronkite

Mr. Cronkite was a wonderful news person! His voice was always so calming, even on the bad news days.

Greatly missed by we who had pleasure of watching and hearing him. Indeed, the best there ever was.

Player #4250921
When he reported the news, you could actually count on it as being news

I miss the days when Walter Cronkite was the most trusted man in America.

I remember watching him during the Cuban Missile Crisis and then again when Kennedy was assassinated. It's too bad news today is not of the quality it was then now it's just propaganda

He was very clearly REPORTING the news.
Not MAKING the news - which is what the talking heads do today !
If someone had the guts to start a news channel today and TRULY REPORTED FACTUAL, UNBIASED, NEWS, I think it would be a Great Hit. Most people, I think, want the NEWS, without all the personal embellishments of the reporter!

Player SQinfoNUTS, I can recall when Walter Cronkite gave the live news that Jack Kennedy died. It was the only time in his career that Walter Cronkite seem to have paused together himself. Also, Walter Cronkite and Jack Kennedy were the same age.

I grew up hearing his voice & Paul Harvey

Player Jbean, surely there must be video of him on YouTube that you could watch and experience his iconic voice and style.

Player SQinfoNUTS
MoodyRider40322, indeed he helped us stay calm. I remember when I heard that his last broadcast will be coming up and I made a point of watching it.

doxierescued, He was also bisexual,

Snoopy 3-24
I loved listening to him tell the news stories !! You could understand the pain from the way he told his stories !! He was a great man !!!
Thanks for your kind comments on special events !! ❤️ K snoopy B 4/24

Player SQinfoNUTS, My dad stayed home from work to watch his last broadcast!
Several of the neighbors did also!

remember that well 😉

My grandmother said He can place his slippers under my bed anytime. She died in 1984. I still miss her.

Reerie29, at least we aren't at war or watching the assassination of a beloved president.

Guillermo Jr.
Reerie29, the"news" media has been predicting the imminent demise of humanity since 1967 and the "Domino Theory"..
just a scheme to make $ and get ratings..
I stopped watching 8 years ago..

Player #26167593
Best news reporter. Wish news was reported like his: facts not opinions. I happen to have met him when I worked for CBS. A very nice man.

Player #45505475
Fun fact > Born the same year as Walter Cronkite is Jack Jack Kennedy. Yes, sir.

Ktkk, Lester Holt on CBS does a good job too. He has an even non-judgemental calm way of presenting the news.

If you want news without propaganda listen to NPR.

and everybody today says "It is what it is"

Player #25672957
It didn't happen until Uncle Walter reported it. He was the most trusted person in the country for many years.

Player. Ty
They was Newsworthy Casters, Nowadays their all Comedians,,,, they gotta put their 10 cents in.😞

He was great newsman who injected his own opinion into the commentary with a subtle manner that was noticeable without being overbearing.

Player #11184418
"Pete" Jennings? WTF? The man went by "Peter" Jennings.

he said and that's the way it was. it's news and cannot be present tense unless they're broadcasting from the scene which was rarely done inn those days.

### Molecular data that have nothing to do with the piece
~~~
{
  "formula": "CH26O11",
  "method": "ωB97M-V/def2-TZVPD",
  "elements": ["O", "H", "H", "H", "O", "H", "H", "H", "O", "H", "H", "H", "C", "O", "H", "H", "H", "O", "H", "H", "O", "H", "H", "O", "H", "H", "O", "H", "H", "O", "H", "H", "O", "H", "H", "O", "H", "H"],
  "positions_angstrom": [[8.17856, 17.83470, -25.07301], [8.55148, 17.01773, -24.51105], [7.41171, 17.52272, -25.58488], [7.86811, 18.55919, -24.47391], [8.67973, 17.21288, -19.00699], [7.95808, 16.57086, -19.10678], [9.55570, 16.71569, -19.13609], [8.64726, 17.66719, -18.13699], [7.03704, 12.87053, -20.70403], [6.77836, 13.77154, -20.44607], [7.74405, 12.45731, -20.17236], [7.11442, 12.73838, -21.68107], [9.30558, 16.13798, -22.34793], [9.02289, 15.88425, -23.63523], [10.36456, 16.07806, -22.02801], [9.01933, 17.15056, -21.99285], [8.81697, 15.37850, -21.66098], [10.82734, 15.52471, -19.20826], [11.60583, 15.45523, -19.78228], [10.67905, 14.63675, -18.86626], [6.30907, 14.75270, -24.15736], [7.13634, 15.24963, -24.07440], [6.28969, 14.43461, -25.06722], [10.98681, 16.86040, -25.32752], [11.48319, 17.49934, -24.80459], [10.52936, 16.30733, -24.67618], [6.84482, 19.50947, -23.32079], [6.48797, 20.36549, -23.59032], [6.31307, 19.24350, -22.56522], [12.91896, 17.29063, -21.56932], [13.82221, 17.00678, -21.75514], [12.38217, 16.77485, -22.18000], [11.73661, 13.95557, -23.42041], [11.35491, 13.21614, -22.93883], [11.05846, 14.64199, -23.41429], [9.92959, 13.82673, -26.35475], [10.76277, 13.36482, -26.49402], [10.10150, 14.41799, -25.61699]],
  "forces_ev_per_a": [[-0.38, 0.13, -0.25], [0.68, -0.81, 0.96], [0.11, 0.16, -0.09], [-0.27, -0.05, 0.16], [0.32, -0.02, 0.09], [-0.18, 0.24, 0.10], [0.74, -0.39, -0.06], [0.00, -0.03, -0.11], [-0.17, -0.37, -0.40], [-0.01, 0.03, -0.15], [-0.02, -0.02, -0.09], [-0.04, 0.14, 0.07], [-0.09, 0.31, 1.32], [-0.40, 0.38, -1.41], [0.10, -0.16, -0.37], [-0.26, -0.12, 0.01], [-0.11, 0.22, 0.11], [-0.68, 0.20, -0.04], [0.03, 0.42, -0.04], [0.19, 0.03, 0.16], [-0.04, 0.07, 0.28], [0.41, -0.20, 0.02], [0.00, -0.11, 0.05], [0.18, 0.00, 0.15], [0.12, 0.03, -0.18], [-0.16, 0.18, -0.03], [0.12, 0.04, -0.16], [0.09, 0.00, -0.03], [-0.04, -0.05, -0.06], [-0.27, -0.32, 0.18], [0.03, 0.10, 0.02], [0.17, 0.02, -0.18], [0.05, 0.26, 0.26], [0.02, -0.09, -0.14], [-0.15, -0.18, -0.18], [-0.22, -0.11, 0.12], [0.01, 0.06, -0.05], [0.12, 0.01, -0.05]],
  "total_charge": 2,
  "e_tot_ev": -23961.111,
  "spin_multiplicity": 1,
  "e_homo_ha": -0.551
}

---

{
  "formula": "C5H4ClO2",
  "method": "ωB97M-V/def2-TZVPD",
  "elements": ["O", "C", "O", "C", "C", "C", "C", "Cl", "H", "H", "H", "H"],
  "positions_angstrom": [[-0.13107, -2.48386, 2.26626], [-0.72317, -2.21692, 1.20812], [-1.27121, -3.01041, 0.43820], [-0.84539, -0.70405, 0.81566], [0.15868, -0.09971, 0.04978], [0.18980, 1.25156, -0.53752], [1.08993, 1.82961, -1.36406], [0.96928, 3.44885, -1.92590], [-1.69588, -0.24153, 1.10822], [1.06053, -0.59675, -0.11604], [-0.67217, 1.72165, -0.17054], [1.87067, 1.10156, -1.77219]],
~~~

Jonibalony, nope

I believe he said that's the way it was

I remember Cronkite firstly in History class covering WWII

ah...honestly the first thing that comes...pop up into my mind was celine dion...ok